
Need a Beautiful Wallpaper? Vladstudio.

Vladstudio holds a collection of wallpapers and other things done by the Russian digital artist Vlad Gerismov. If you have a few minutes to go browse through his wallpapers you should, he has some of the best I have ever seen. About 2 years ago I signed up with his lifetime plan, and I still do not regret doing so. He has over 600 wallpapers as of this writing, which means almost anyone should be able to find something they like. In addition he has over 250 'Wallpaper Clocks' which is a wallpaper with an embedded clock, and they are quite cool. Beyond the wallpapers you can also do a online puzzle of many of his wallpapers, send e-cards that he has made, get his theme for your Wordpress blog, or shop for shirts featuring his art, and much more. Anyway, go check it out!

Some of my favorite wallpapers from his collection:

How-To: Write to Windows Drive/Partition in OS X

If you have installed a copy of windows on your mac there has probably been a time, or many times, that you wished to transfer files to your windows partition from directly inside OS X. Well today I came across a very simple way to do just that. The best part is that it is completely free, and only takes about 5 minutes(or less) to set up. Lets get started shall we!
  1. Go get MacFUSE and install it
  2. Go get NTFS-3G and install it
  3. Reboot your system for the installations to take affect
Thats it! If you are having trouble finding the download link for NTFS-3G, here it is.
Here is the result in actions. First you will see I copy the file 'axxo' from OS X to my windows partition(It is called Untitled, but you will just have to believe me that it really is my windows partition).

Second I am using quicklook on the windows partition of the 'axxo' file that I just transferred.



Beginning Web Development

Starting today(and continuing for a very long time), I am going to try to dive into the tools I need to create web pages. My goal is to become familiar with html, css, javascript, php, mysql, and anything else I find along the way that I need to know by the end of the year. I have a feeling that I will be visiting w3schools quite often during this time. If anyone else knows of any other good websites or tutorials to get started, feel free to let me know.
That is all I have for today, if you are bored go read about Googles Chrome OS, which I am sure will be talked about in the next diggnation, or possibly the one after that. Also go check out these amazing photos!

These molecular data were left in the piece by mistake:
____________
Entry 1:
38
Properties=species:S:1:pos:R:3:forces:R:3 method="wB97M-V/def2-TZVPD" total_charge=+2 relative_energy_kj_mol=0.00 homo_lumo_gap_ev="5.596 / 6.642" s_squared=0.779 e_homo_ev="-16.3 / -16.4" lumo_energy_ev="-10.66 / -9.75" spin_multiplicity=2
V -0.28837 -0.18322 0.57589 0.528 1.057 -1.405
N -0.23069 0.05694 2.40952 0.101 -0.048 -1.521
N -0.70128 0.11798 -2.29676 -0.493 -0.085 0.509
N 1.65207 -0.35377 -1.54074 0.307 -0.042 0.876
N 1.29062 -0.90822 -0.28958 0.375 0.299 -1.237
N -1.35004 -0.34296 -1.13884 0.477 0.082 -0.571
N 0.10297 1.66331 0.07833 0.471 -0.010 -0.961
N 0.62824 1.92101 -1.19760 0.044 -0.060 0.916
C 0.54765 3.85674 -0.10312 -0.427 -0.265 0.691
C -1.52980 -0.01966 -3.34662 0.232 -0.224 0.964
C -2.57846 -0.78976 -1.52668 0.246 0.381 -1.151
C -0.15269 0.07843 3.58720 0.293 -0.070 1.798
C 0.91923 3.22716 -1.29235 -0.616 -0.954 0.371
C 2.79713 -0.91770 -1.96308 -1.265 -0.181 0.945
C 0.03997 2.86080 0.72811 0.340 0.304 -0.637
C -2.72612 -0.59710 -2.91257 0.056 -0.143 1.179
C 2.21389 -1.88036 -0.02535 0.794 0.308 -1.116
C 3.18006 -1.91093 -1.04542 -1.132 0.271 0.822
C -1.75728 -2.40460 1.51830 -0.139 -0.149 0.512
B 0.02682 0.07754 5.09112 -0.246 -0.132 -0.205
B 0.73905 0.73157 -2.19275 -0.266 0.008 0.044
H -0.87283 -3.03917 1.57897 0.118 0.261 -0.094
H 2.13226 -2.47655 0.86583 0.083 -0.074 0.122
H 3.24027 -0.60642 -2.89571 0.016 -0.039 -0.029
H 1.33563 3.62918 -2.20214 0.016 0.019 -0.009
H -3.58302 -0.84097 -3.51936 0.031 -0.008 0.075
H -2.08919 -2.12686 2.52997 0.193 0.062 -0.499
H -0.92585 -0.49491 5.59321 0.138 0.158 -0.258
H 0.09610 1.25236 5.41647 0.061 -0.170 -0.120
H 4.01448 -2.57827 -1.13405 0.164 -0.056 0.099
H -1.22330 0.28011 -4.34208 -0.001 -0.034 0.187
H -0.34963 2.91525 1.73670 0.088 0.058 -0.146
H 0.59466 4.91056 0.12161 0.122 -0.083 0.002
H -2.54161 -2.97152 1.01552 0.061 0.255 -0.158
H 1.06940 -0.53709 5.27000 -0.119 0.213 -0.170
H 1.13187 1.07984 -3.26376 0.029 -0.083 0.163
H -1.59026 -1.46886 0.90828 -0.751 -0.935 0.263
H -3.26197 -1.20987 -0.79647 0.072 0.109 -0.252

=====

Entry 2:
30
Properties=species:S:1:pos:R:3:forces:R:3 method="wB97M-V/def2-TZVPD" total_charge=-1 homo_lumo_gap_ev=8.295 e_homo_ev=-4.9 lumo_energy_ev=3.44
N 1.46706 -1.32768 0.17226 0.297 -0.624 -0.076
C 2.71689 -1.82947 -0.08911 0.300 -0.197 -0.082
C 2.85007 0.40739 -0.04361 0.245 -0.671 -0.067
C -1.84437 0.09445 -0.02654 -0.254 0.178 -0.406
C -1.12296 2.77667 -0.04926 -0.096 0.446 0.162
C -0.53637 2.60248 2.53837 -0.391 0.085 -0.429
____________



Calculated molecules, as found in the file >
Entry from the Open Molecules 2025 dataset: one molecule with the formula C19H27N3O at a distorted geometry (ωB97M-V/def2-TZVPD).

Electronic energy = -979.6287 Eh
Charge = 0
LUMO = 0.67 eV

Each line ends with the Löwdin charge.
Atoms and positions in Å:
C: 0.73618 4.29292 0.93261  -0.012
C: -0.42583 3.41484 0.49388  -0.251
N: -1.66252 3.97293 0.18001  -0.020
N: -2.62422 3.06636 -0.07973  0.083
C: -1.98663 1.93602 0.11402  -0.307
C: -0.56726 2.06755 0.41188  -0.088
C: 0.26406 0.82484 0.39699  -0.194
C: 0.95391 0.64718 -1.02342  -0.202
C: 1.83922 -0.68876 -1.05689  -0.115
C: 3.33340 -0.32638 -0.80027  -0.162
C: 3.92502 0.65138 -1.85714  -0.196
C: 2.94045 1.62391 -2.36019  -0.255
C: 1.81449 1.91964 -1.46326  -0.174
C: -0.56876 -0.33729 0.85227  -0.039
C: -1.96531 -0.46634 0.49397  -0.101
C: -2.82538 -1.62168 0.94365  -0.084
C: -2.04734 -2.92587 0.85777  -0.492
C: -1.66634 -3.33946 -0.60142  -0.013
C: -2.76741 -4.08165 1.63905  -0.046
C: -0.78139 -2.75672 1.74008  -0.079
C: 0.00871 -1.48278 1.64816  -0.351
O: 1.03470 -1.25462 2.30743  0.045
N: -2.62401 0.73093 0.10113  0.127
H: 1.47849 3.49156 1.06470  0.067
H: 1.03318 5.00122 0.15400  0.082
H: 0.64167 4.79630 1.88844  0.074
H: -1.84804 4.99642 0.40284  0.183
H: 1.01460 1.07419 1.16583  0.150
H: 0.12782 0.50627 -1.77530  0.145
H: 1.40278 -1.42905 -0.43446  0.073
H: 1.69490 -1.02995 -2.09018  0.111
H: 3.86235 -1.23223 -0.78955  0.086
H: 3.42266 0.19348 0.14124  0.107
H: 4.78185 1.08435 -1.43381  0.086
H: 4.30721 -0.05774 -2.66729  0.132
H: 3.35188 2.58422 -2.80456  0.139
H: 2.40167 1.20508 -3.14530  0.087
H: 2.18997 2.25493 -0.48737  0.092
H: 1.03250 2.76500 -1.89840  0.176
H: -3.75198 -1.69524 0.29635  0.148
H: -3.11071 -1.40890 1.95158  0.129
H: -2.52776 -3.54058 -1.19572  0.071
H: -1.04097 -4.21838 -0.72128  0.084
H: -1.13787 -2.43671 -0.93266  0.080
H: -2.48934 -5.07023 1.23094  0.092
H: -2.82075 -4.09214 2.69485  0.068
H: -3.78254 -4.12773 1.33670  0.059
H: -0.08628 -3.55088 1.39922  0.147
H: -0.87044 -2.83464 2.78415  0.113
H: -3.61459 0.90439 -0.00552  0.148

***

Entry from the Open Molecules 2025 dataset: one molecule with the formula C19H27N3O (ωB97M-V/def2-TZVPD).

Electronic energy = -979.7538 Eh
Charge = 0
LUMO = 0.71 eV

Each line ends with the Löwdin charge.
Atoms and positions in Å:
C: 5.40396 -1.92721 -3.03603  -0.017
C: 3.99690 -2.08168 -2.57823  -0.259
N: 3.45351 -3.34382 -2.46879  0.118
C: 2.16422 -3.25112 -2.04042  -0.202
C: 1.22178 -4.23409 -1.76674  -0.005
C: -0.01816 -3.82458 -1.33319  -0.023
C: -0.33655 -2.46490 -1.18636  -0.142
C: -1.70293 -2.13002 -0.69503  -0.471
O: -2.31398 -2.83119 0.08975  0.061
N: -2.22676 -0.99358 -1.22026  0.059
C: -3.45734 -0.40594 -0.74954  -0.184
C: -3.20144 0.88678 0.02764  -0.161
C: -2.43274 0.61918 1.32338  -0.200
N: -2.12132 1.85973 2.01333  -0.179
C: -2.05176 1.70988 3.45528  -0.209
C: -1.93972 3.08067 4.11632  -0.190
C: -0.69196 3.80097 3.61926  -0.214
C: -0.73855 3.87201 2.09758  -0.189
C: -0.90305 2.47147 1.51654  -0.211

So I found a new site tonight that Kevin Rose twittered out. It is gdgt and it lets you do pretty much anything you can imagine with gadgets. To get started you should go watch this video outlining the site. My username is hankolerd, so be sure to add me to your friends list if you join. I might right another quick bit about it once I finish checking it out, but for now I am going to go check it out some more!

Firefox 3.5 New Feature List

/*
The following is a DFT calculation (ωB97M-V with the def2-TZVPD basis set) of a structure of composition H16NeO8Xe.

Structure (XYZ):
```
26
Properties=species:S:1:pos:R:3:forces:R:3
Ne -3.321154 0.397501 2.213404 0.0 0.1 0.1
Xe -0.151611 -0.926297 0.503151 0.0 -0.1 0.0
O 0.367770 2.553434 2.304383 0.0 0.2 -0.3
H 0.384821 1.686191 2.709136 0.1 -0.3 0.1
H -0.403565 2.978264 2.679602 -0.2 0.2 0.2
O -3.966801 -2.112536 1.074069 -0.3 0.0 0.3
H -3.895902 -1.218159 0.740467 0.1 0.3 -0.1
H -3.589246 -2.656992 0.383232 0.2 -0.3 -0.3
O -3.195092 0.664767 -0.593406 0.0 0.0 0.2
H -2.424042 0.702137 -1.159358 0.2 -0.1 -0.1
H -3.934628 0.610060 -1.198658 -0.3 0.1 -0.2
O 4.002876 -1.196075 1.223721 0.2 -0.7 0.1
H 3.304199 -0.606092 0.940868 -0.3 0.5 0.0
H 4.807943 -0.695482 1.091409 0.2 0.1 0.0
O -2.669739 -3.506069 -1.279979 -0.2 0.0 0.1
H -1.796419 -3.888423 -1.365730 0.3 -0.2 0.1
H -2.669329 -2.767717 -1.889130 0.0 0.2 -0.2
O 0.597505 2.546687 -0.785997 0.1 0.1 -0.2
H 0.026784 2.802752 -0.061470 -0.1 0.1 0.5
H 0.027035 2.058882 -1.380006 0.0 -0.2 -0.3
O 2.697400 1.070550 0.325528 0.5 -0.4 0.3
H 3.465805 1.571905 0.052736 0.2 0.1 0.0
H 1.953260 1.624360 0.089344 -0.7 0.3 -0.4
O 3.198341 -0.618657 -2.490016 -0.2 0.0 -0.3
H 4.065133 -0.218840 -2.561125 0.2 0.1 0.0
H 3.118658 -0.856149 -1.566179 0.0 0.0 0.4
```
Positions in Å, forces in eV/Å.

The calculation puts the HOMO energy at -0.395 hartree. The spin multiplicity is 1. As for the total energy: -29110.8648 eV. The energy relative to the best compared isomer or geometry (same formula, charge and spin) is 70.2 kJ/mol.

~~~~~

Entry 1:
Computed, not measured: 8 unconnected molecules or ions with the total composition C25H47Br16O2, with the ωB97M-V functional and the def2-TZVPD basis.

Results
Total charge = -1
DFT total energy = -42315.3684 Eh
Maximum force = 4.40 eV/Å
E_LUMO = 1.856 eV
HOMO-LUMO gap = 3.8 eV
HOMO = -1.952 eV

Geometry (Å):
C (0.76440, 4.96832, 2.60046)
C (-0.34732, 5.73364, 1.75231)
O (-0.26591, 6.99098, 1.72911)
O (-1.41370, 5.10453, 1.06306)
C (-0.93144, 4.50572, -0.19993)
C (-0.65896, 2.92521, 0.05738)
C (-1.99413, 2.06581, -0.08121)
C (-1.77596, 0.48334, -0.23554)
C (-0.37536, -0.07605, 0.30468)
C (-0.09706, 0.19002, 1.86698)
C (1.47966, 0.20007, 2.18600)
Br (2.37692, 1.90433, 1.58658)
C (2.27675, -1.11586, 1.72288)
C (2.78665, -1.10644, 0.19799)
Br (1.31310, -2.82971, 2.02951)
H (0.42591, 3.93726, 2.96338)
H (1.70823, 4.84134, 1.95383)
H (1.04290, 5.57891, 3.53867)
H (-1.74924, 4.65400, -0.97686)
H (0.05373, 5.00739, -0.49998)
H (0.22560, 2.52814, -0.53893)
H (-0.35235, 2.86387, 1.16577)
H (-2.72349, 2.30625, 0.76083)
H (-2.51201, 2.42383, -1.05372)
H (-2.61588, -0.05113, 0.32044)
H (-1.85661, 0.13337, -1.33360)
H (-0.37224, -1.22620, 0.16046)
H (0.45437, 0.32649, -0.36816)
H (-0.59271, -0.68723, 2.43235)
H (1.54736, 0.22641, 3.33543)
H (3.22587, -1.16479, 2.37495)
H (2.32236, -1.98352, -0.38577)
H (3.91092, -1.28300, 0.17745)
H (2.53506, -0.16725, -0.38738)
*/

So with the release of Firefox 3.5 today I thought I would outline some of the new features, and what they mean to me. If you would like to review all new and improved features, visit the features page.

Super Speed: Basically all this means, is that Firefox 3.5 is approximately twice as fast at loading JavaScript than Firefox 3.0 thanks to the TraceMonkey JavaScript engine. This is definitely something to be excited about, but if I wanted the best performance, I would be looking at Chrome or Safari. So I give them thumbs up for keeping up pace, and not falling asleep at the wheel like Internet Explorer.
Private Browsing: New to Firefox 3.5 is the ability to enter private browsing mode that will not save any information of your browsing session. Perfect for looking for gifts for your loved one when you share the same computer. I see where this could be useful, but for me, it is a feature that will never be used. Moving on!
Forget This Site: Very much like the last, but forgets all traces to a particular site, and not just the one history item. Again, I never worry about my history, but if I did I see how deleting all traces to a specific site would nice.
Tab Organization: This adds the ability to drag a tab out of window to make it its own window, and I would assume drag tabs between windows. This is a feature that I have used time to time in Safari, so it is cool to see it become 'standard' across the major web browsers.
Downloadable Fonts: This allows web designers to use the exact font that they want on their page. I assume this works by reading the font information from the host instead of the client. Seems like a cool feature and I am excited to see some of the cool fonts that will be used.
Location-Aware Browsing: Now websites can get your location directly though firefox if you allow. I think this is a really cool feature, and it will be exciting to see all the different things people use this for. Maybe when you log into google chat it will automatically assign your status message to where you are at, or have online games that place you in the world where you actually are. But more realistically, I am just excited when I go to google maps to find directions and not having to enter in my address. Thumbs Up!
Open Video and Audio: This feature alone is the one reason to support Firefox. They are pushing to upturn proprietary codecs like flash and silverlight with open source audio and video formats, allowing you to view videos and listen to audio on the web without having any codecs installed on your computer. Meaning you will no longer have to deal with updating your codecs every few months to the latest versions.

So I don’t know if all these features will be enough to get me to stop using Safari or Chrome, but if enough people start utilizing what Firefox will allow them to do with their webpages, I will have little option but to use Firefox as my browser. That or stay in the dark ages as the internet continues to evolve.